### Assignment
Now echo everything further down unchanged.
### Given
~~~
The following is a DFT calculation (PBE-GGA) of a geometry-optimized Ag2CO3 structure.

Results
Calculated volume   14.0 A^3/atom
Energy above the most stable polymorph in this dataset   30 meV per atom
Formation energy from the elements   -6.38 eV per formula unit
Total DFT energy (no corrections)   -5.68 eV/atom

a b c (Å): 3.447 15.895 9.231
angles (deg): 90.00 90.00 90.00
Positions (direct):
Ag: 0.000 0.071 0.000
Ag: 0.000 0.252 0.524
Ag: 0.000 0.421 0.995
Ag: 0.000 0.579 0.495
Ag: 0.000 0.748 0.024
Ag: 0.000 0.929 0.500
Ag: 0.500 0.078 0.348
Ag: 0.500 0.251 0.832
Ag: 0.500 0.420 0.344
Ag: 0.500 0.580 0.844
Ag: 0.500 0.749 0.332
Ag: 0.500 0.922 0.848
C: 0.000 0.249 0.176
C: 0.000 0.751 0.676
C: 0.500 0.084 0.676
C: 0.500 0.418 0.674
C: 0.500 0.582 0.174
C: 0.500 0.916 0.176
O: 0.000 0.198 0.287
O: 0.000 0.217 0.044
O: 0.000 0.330 0.193
O: 0.000 0.670 0.693
O: 0.000 0.783 0.544
O: 0.000 0.802 0.787
O: 0.500 0.002 0.657
O: 0.500 0.114 0.806
O: 0.500 0.133 0.564
O: 0.500 0.366 0.564
O: 0.500 0.388 0.806
O: 0.500 0.498 0.652
O: 0.500 0.502 0.152
O: 0.500 0.612 0.306
O: 0.500 0.634 0.064
O: 0.500 0.867 0.064
O: 0.500 0.886 0.306
O: 0.500 0.998 0.157



The following is a DFT calculation (PBE-GGA) of a geometry-optimized AgCO3 structure.

Results
Calculated volume   12.0 A^3/atom
Formation energy from the elements   -6.18 eV per formula unit
Total DFT energy (no corrections)   -6.20 eV/atom

a b c (Å): 6.072 6.072 6.072
angles (deg): 49.66 49.66 49.66
Positions (direct):
Ag: 0.000 0.000 0.000
Ag: 0.500 0.500 0.500
C: 0.250 0.250 0.250
C: 0.750 0.750 0.750
O: 0.003 0.750 0.497
O: 0.250 0.503 0.997
O: 0.497 0.003 0.750
O: 0.503 0.997 0.250
O: 0.750 0.497 0.003
O: 0.997 0.250 0.503
~~~
### Solution
The following is a DFT calculation (PBE-GGA) of a geometry-optimized Ag2CO3 structure.

Results
Calculated volume   14.0 A^3/atom
Energy above the most stable polymorph in this dataset   30 meV per atom
Formation energy from the elements   -6.38 eV per formula unit
Total DFT energy (no corrections)   -5.68 eV/atom

a b c (Å): 3.447 15.895 9.231
angles (deg): 90.00 90.00 90.00
Positions (direct):
Ag: 0.000 0.071 0.000
Ag: 0.000 0.252 0.524
Ag: 0.000 0.421 0.995
Ag: 0.000 0.579 0.495
Ag: 0.000 0.748 0.024
Ag: 0.000 0.929 0.500
Ag: 0.500 0.078 0.348
Ag: 0.500 0.251 0.832
Ag: 0.500 0.420 0.344
Ag: 0.500 0.580 0.844
Ag: 0.500 0.749 0.332
Ag: 0.500 0.922 0.848
C: 0.000 0.249 0.176
C: 0.000 0.751 0.676
C: 0.500 0.084 0.676
C: 0.500 0.418 0.674
C: 0.500 0.582 0.174
C: 0.500 0.916 0.176
O: 0.000 0.198 0.287
O: 0.000 0.217 0.044
O: 0.000 0.330 0.193
O: 0.000 0.670 0.693
O: 0.000 0.783 0.544
O: 0.000 0.802 0.787
O: 0.500 0.002 0.657
O: 0.500 0.114 0.806
O: 0.500 0.133 0.564
O: 0.500 0.366 0.564
O: 0.500 0.388 0.806
O: 0.500 0.498 0.652
O: 0.500 0.502 0.152
O: 0.500 0.612 0.306
O: 0.500 0.634 0.064
O: 0.500 0.867 0.064
O: 0.500 0.886 0.306
O: 0.500 0.998 0.157



The following is a DFT calculation (PBE-GGA) of a geometry-optimized AgCO3 structure.

Results
Calculated volume   12.0 A^3/atom
Formation energy from the elements   -6.18 eV per formula unit
Total DFT energy (no corrections)   -6.20 eV/atom

a b c (Å): 6.072 6.072 6.072
angles (deg): 49.66 49.66 49.66
Positions (direct):
Ag: 0.000 0.000 0.000
Ag: 0.500 0.500 0.500
C: 0.250 0.250 0.250
C: 0.750 0.750 0.750
O: 0.003 0.750 0.497
O: 0.250 0.503 0.997
O: 0.497 0.003 0.750
O: 0.503 0.997 0.250
O: 0.750 0.497 0.003
O: 0.997 0.250 0.503